• Exercise:
Please return the block further below character by character.

• Material:
____________
Entry 1:
DFT (PBE-GGA) results for a geometry-optimized Zr2VHRh structure.

## Properties
E_tot: -38.71 eV for the cell shown
Crystal system: tetragonal

Cell: 4.605 4.605 3.478 Å, 90.00 90.00 90.00°
Atoms (fractional coordinates):
V1 0.000 0.000 0.500
Zr1 0.000 0.500 0.000
Zr2 0.500 0.000 0.000
H1 0.000 0.000 0.000
Rh1 0.500 0.500 0.500

Entry 2:
DFT (PBE-GGA) results for a geometry-optimized H2RhW structure.

## Properties
E_tot: -26.53 eV for the cell shown
Crystal system: monoclinic

Cell: 2.906 2.906 5.926 Å, 60.91 60.91 60.06°
Atoms (fractional coordinates):
H1 0.030 0.030 0.770
H2 0.338 0.338 0.302
W1 0.550 0.550 0.485
Rh1 0.582 0.582 0.943

For each record above, in turn, the calculated ΔE to the lowest computed polymorph values are 0.00, 0.00 eV per formula unit.

----------

Record 1
A relaxed SiTcTe2 crystal, computed with GGA-PBE.

Calculated values
VASP energy (eV for the cell shown): -19.62
Density of states at the Fermi level (states/eV/f.u.): 4.097
Formation energy without anion corrections (eV per atom): 0.612

Cell: 4.8688 4.8688 4.8688 Å, 110.71 110.71 107.01°
Closest atoms and distances in Å follow each position.
Sites, in units of the cell vectors:
Si (0.0000, 0.0000, 0.0000)  4 Te 2.77, 2 Tc 2.90
Tc (0.5000, 0.5000, 0.0000)  4 Te 2.77, 2 Si 2.90
Te (0.0000, 0.5000, 0.5000)  2 Tc 2.77, 2 Si 2.77, 2 Te 2.90
Te (0.5000, 0.0000, 0.5000)  2 Tc 2.77, 2 Si 2.77, 2 Te 2.90

***

Record 2
A relaxed SiTcTe2 crystal, computed with GGA-PBE.

Calculated values
VASP energy (eV for the cell shown): -20.40
Density of states at the Fermi level (states/eV/f.u.): 2.596
Formation energy without anion corrections (eV per atom): 0.417

Cell: 8.7308 8.7308 8.7308 Å, 22.51 22.51 22.51°
Closest atoms and distances in Å follow each position.
Sites, in units of the cell vectors:
Si (0.0000, 0.0000, 0.0000)  6 Te 3.06, 6 Si 3.41
Tc (0.5000, 0.5000, 0.5000)  6 Te 2.74
Te (0.2414, 0.2414, 0.2414)  3 Tc 2.74, 3 Si 3.06
Te (0.7586, 0.7586, 0.7586)  3 Tc 2.74, 3 Si 3.06

***

Record 3
A relaxed Si3TcTe crystal, computed with GGA-PBE.

Calculated values
VASP energy (eV for the cell shown): -19.87
Density of states at the Fermi level (states/eV/f.u.): 5.122
Formation energy without anion corrections (eV per atom): 1.981

Cell: 5.0689 5.0689 5.0689 Å, 90.00 90.00 90.00°
Closest atoms and distances in Å follow each position.
Sites, in units of the cell vectors:
Si (0.0000, 0.0000, 0.5000)  2 Te 2.53
Si (0.0000, 0.5000, 0.0000)  2 Te 2.53
Si (0.5000, 0.0000, 0.0000)  2 Te 2.53
Tc (0.5000, 0.5000, 0.5000)  12 Si 3.58
Te (0.0000, 0.0000, 0.0000)  6 Si 2.53

----------

No. 1
# ThTlPb2

A geometry-optimized ThTlPb2 structure (PBE, Alexandria via LeMat-Bulk).

Unit cell a=7.9190 b=7.9190 c=7.9190 alpha=90.00 beta=90.00 gamma=90.00
Space group Fm-3m (No. 225)
One atom of each set of equivalent atoms:
Th 0.0000 0.0000 0.0000
Tl 0.0000 0.0000 0.5000
Pb 0.2500 0.2500 0.2500

Polymorph energy (0 for the lowest one): 289 meV/atom
Energy of formation: 70 meV per atom

No. 2
# Dy3Er7Th

A geometry-optimized Dy3Er7Th structure (PBE, Alexandria via LeMat-Bulk).

Unit cell a=6.9830 b=6.9830 c=8.5848 alpha=90.00 beta=90.00 gamma=120.00
Space group P3m1 (No. 156)
One atom of each set of equivalent atoms:
Dy 0.0026 0.5013 0.0000
Er 0.1692 0.3383 0.6614
Er 0.3351 0.1676 0.3344
Er 0.6667 0.3333 0.6664
Th 0.3333 0.6667 0.3339

Polymorph energy (0 for the lowest one): 25 meV/atom
Energy of formation: 189 meV per atom

No. 3
# Pr2PaCu

A geometry-optimized Pr2PaCu structure (PBE, Alexandria via LeMat-Bulk).

Unit cell a=3.5152 b=3.5152 c=8.5822 alpha=90.00 beta=90.00 gamma=90.00
Space group P4/mmm (No. 123)
One atom of each set of equivalent atoms:
Pr 0.0000 0.0000 0.2197
Pa 0.5000 0.5000 0.5000
Cu 0.5000 0.5000 0.0000

Polymorph energy (0 for the lowest one): 0 meV/atom
Energy of formation: 104 meV per atom

No. 4
# TbPr3Nd6Er2

A geometry-optimized TbPr3Nd6Er2 structure (PBE, Alexandria via LeMat-Bulk).
____________

• Response:
Entry 1:
DFT (PBE-GGA) results for a geometry-optimized Zr2VHRh structure.

## Properties
E_tot: -38.71 eV for the cell shown
Crystal system: tetragonal

Cell: 4.605 4.605 3.478 Å, 90.00 90.00 90.00°
Atoms (fractional coordinates):
V1 0.000 0.000 0.500
Zr1 0.000 0.500 0.000
Zr2 0.500 0.000 0.000
H1 0.000 0.000 0.000
Rh1 0.500 0.500 0.500

Entry 2:
DFT (PBE-GGA) results for a geometry-optimized H2RhW structure.

## Properties
E_tot: -26.53 eV for the cell shown
Crystal system: monoclinic

Cell: 2.906 2.906 5.926 Å, 60.91 60.91 60.06°
Atoms (fractional coordinates):
H1 0.030 0.030 0.770
H2 0.338 0.338 0.302
W1 0.550 0.550 0.485
Rh1 0.582 0.582 0.943

For each record above, in turn, the calculated ΔE to the lowest computed polymorph values are 0.00, 0.00 eV per formula unit.

----------

Record 1
A relaxed SiTcTe2 crystal, computed with GGA-PBE.

Calculated values
VASP energy (eV for the cell shown): -19.62
Density of states at the Fermi level (states/eV/f.u.): 4.097
Formation energy without anion corrections (eV per atom): 0.612

Cell: 4.8688 4.8688 4.8688 Å, 110.71 110.71 107.01°
Closest atoms and distances in Å follow each position.
Sites, in units of the cell vectors:
Si (0.0000, 0.0000, 0.0000)  4 Te 2.77, 2 Tc 2.90
Tc (0.5000, 0.5000, 0.0000)  4 Te 2.77, 2 Si 2.90
Te (0.0000, 0.5000, 0.5000)  2 Tc 2.77, 2 Si 2.77, 2 Te 2.90
Te (0.5000, 0.0000, 0.5000)  2 Tc 2.77, 2 Si 2.77, 2 Te 2.90

***

Record 2
A relaxed SiTcTe2 crystal, computed with GGA-PBE.

Calculated values
VASP energy (eV for the cell shown): -20.40
Density of states at the Fermi level (states/eV/f.u.): 2.596
Formation energy without anion corrections (eV per atom): 0.417

Cell: 8.7308 8.7308 8.7308 Å, 22.51 22.51 22.51°
Closest atoms and distances in Å follow each position.
Sites, in units of the cell vectors:
Si (0.0000, 0.0000, 0.0000)  6 Te 3.06, 6 Si 3.41
Tc (0.5000, 0.5000, 0.5000)  6 Te 2.74
Te (0.2414, 0.2414, 0.2414)  3 Tc 2.74, 3 Si 3.06
Te (0.7586, 0.7586, 0.7586)  3 Tc 2.74, 3 Si 3.06

***

Record 3
A relaxed Si3TcTe crystal, computed with GGA-PBE.

Calculated values
VASP energy (eV for the cell shown): -19.87
Density of states at the Fermi level (states/eV/f.u.): 5.122
Formation energy without anion corrections (eV per atom): 1.981

Cell: 5.0689 5.0689 5.0689 Å, 90.00 90.00 90.00°
Closest atoms and distances in Å follow each position.
Sites, in units of the cell vectors:
Si (0.0000, 0.0000, 0.5000)  2 Te 2.53
Si (0.0000, 0.5000, 0.0000)  2 Te 2.53
Si (0.5000, 0.0000, 0.0000)  2 Te 2.53
Tc (0.5000, 0.5000, 0.5000)  12 Si 3.58
Te (0.0000, 0.0000, 0.0000)  6 Si 2.53

----------

No. 1
# ThTlPb2

A geometry-optimized ThTlPb2 structure (PBE, Alexandria via LeMat-Bulk).

Unit cell a=7.9190 b=7.9190 c=7.9190 alpha=90.00 beta=90.00 gamma=90.00
Space group Fm-3m (No. 225)
One atom of each set of equivalent atoms:
Th 0.0000 0.0000 0.0000
Tl 0.0000 0.0000 0.5000
Pb 0.2500 0.2500 0.2500

Polymorph energy (0 for the lowest one): 289 meV/atom
Energy of formation: 70 meV per atom

No. 2
# Dy3Er7Th

A geometry-optimized Dy3Er7Th structure (PBE, Alexandria via LeMat-Bulk).

Unit cell a=6.9830 b=6.9830 c=8.5848 alpha=90.00 beta=90.00 gamma=120.00
Space group P3m1 (No. 156)
One atom of each set of equivalent atoms:
Dy 0.0026 0.5013 0.0000
Er 0.1692 0.3383 0.6614
Er 0.3351 0.1676 0.3344
Er 0.6667 0.3333 0.6664
Th 0.3333 0.6667 0.3339

Polymorph energy (0 for the lowest one): 25 meV/atom
Energy of formation: 189 meV per atom

No. 3
# Pr2PaCu

A geometry-optimized Pr2PaCu structure (PBE, Alexandria via LeMat-Bulk).

Unit cell a=3.5152 b=3.5152 c=8.5822 alpha=90.00 beta=90.00 gamma=90.00
Space group P4/mmm (No. 123)
One atom of each set of equivalent atoms:
Pr 0.0000 0.0000 0.2197
Pa 0.5000 0.5000 0.5000
Cu 0.5000 0.5000 0.0000

Polymorph energy (0 for the lowest one): 0 meV/atom
Energy of formation: 104 meV per atom

No. 4
# TbPr3Nd6Er2

A geometry-optimized TbPr3Nd6Er2 structure (PBE, Alexandria via LeMat-Bulk).